Mark is Easy to Soothe

"Sweetheart, are you upset?" Alex gently patted Mark's head, concerned that he might be sulking because of something he said.

"I'm not upset," Mark replied in a small voice, keeping his head down.

"If you're not upset, then look up and let me see you," Alex coaxed softly.

Mark hesitated for a moment before slowly lifting his gaze, biting his lip and looking at Alex with a touch of sadness.

Despite what he said, it was clear that he was upset.

Alex sighed, then leaned in to plant a kiss on Mark's forehead. He gently caressed Mark's smooth, pale cheek and asked, "Was it because I said something you didn't like? Did that upset you?"

"No," Mark mumbled quietly, clearly not wanting to talk about it.

He knew that Alex only lectured him because he was being unreasonable, but it still hurt. Alex had always been so indulgent, so when he suddenly corrected him, it felt like Alex was no longer willing to tolerate his whims. This left Mark feeling empty inside.

Mark placed a hand over his chest and looked down, lost in thought.

What comes next are data records, not part of the entry
/*
{"formula": "C27H37ClN7O9SV", "method": "ωB97M-V with the def2-TZVPD basis set", "molar_mass_g_mol": 722.10, "lumo_ha": [0.0754, 0.0754], "charge": -1, "energy_ha": -3913.87931, "e_above_lowest_kcal_mol": 0.0, "multiplicity": 4, "homo_ev": [-3.251, -3.740], "symbols": ["V", "O", "C", "O", "C", "O", "C", "C", "O", "O", "H", "H", "H", "H", "H", "O", "C", "C", "N", "O", "H", "H", "H", "H", "H", "C", "C", "C", "C", "N", "C", "S", "N", "H", "H", "H", "H", "H", "O", "N", "C", "C", "C", "C", "C", "O", "C", "C", "C", "C", "C", "C", "Cl", "C", "C", "C", "N", "C", "N", "C", "N", "H", "H", "H", "H", "H", "H", "H", "H", "H", "H", "H", "H", "H", "H", "H", "H", "H", "H", "H", "H", "H", "H"], "coordinates": [[-0.071, 0.056, -0.162], [3.945, 0.546, -0.405], [2.655, 0.663, -0.090], [1.819, 0.808, -0.960], [2.352, 0.658, 1.394], [0.948, 0.691, 1.571], [0.416, -0.624, 2.133], [0.791, -1.901, 1.202], [0.752, -2.966, 1.782], [1.257, -1.608, -0.002], [3.974, 0.370, -1.357], [2.798, -0.212, 1.873], [2.754, 1.584, 1.816], [0.836, -0.779, 3.125], [-0.744, -0.506, 2.216], [-1.216, 0.539, -1.116], [-2.146, 2.985, -1.343], [-0.806, 3.261, -0.716], [-0.534, 4.606, -0.662], [0.049, 2.520, -0.250], [-2.617, 3.933, -1.606], [-2.764, 2.456, -0.618], [-2.048, 2.377, -2.237], [-1.174, 5.295, -1.005], [0.330, 4.896, -0.241], [-4.107, 0.072, 6.298], [-3.896, 1.128, 5.248], [-4.456, 2.396, 5.364], [-4.178, 3.268, 4.322], [-3.439, 2.956, 3.275], [-2.927, 1.693, 3.230], [-1.962, 1.242, 1.889], [-3.150, 0.780, 4.212], [-4.727, 0.440, 7.117], [-3.145, -0.248, 6.700], [-4.589, -0.799, 5.854], [-5.067, 2.685, 6.208], [-4.577, 4.281, 4.334], [-2.157, -2.426, 0.726], [-1.242, -1.702, 0.507], [-0.554, -5.973, -2.652], [0.291, -6.277, -3.904], [1.209, -7.469, -3.589], [-0.692, -6.734, -4.990], [1.146, -5.075, -4.416], [1.662, -5.415, -5.725], [2.402, -4.772, -3.563], [2.326, -4.578, -2.037], [3.691, -4.245, -1.494], [4.486, -5.220, -0.905], [5.755, -4.929, -0.426], [6.234, -3.639, -0.542], [7.829, -3.255, 0.054], [5.467, -2.642, -1.122], [4.201, -2.954, -1.591], [0.370, -3.797, -4.795], [-0.190, -3.019, -3.719], [0.383, -1.982, -3.084], [-0.443, -1.466, -2.212], [-1.576, -2.187, -2.397], [-1.481, -3.117, -3.322], [-0.825, -6.916, -2.170], [-1.478, -5.467, -2.918], [-0.057, -5.358, -1.908], [0.597, -8.321, -3.291], [1.899, -7.259, -2.771], [1.799, -7.788, -4.454], [-1.272, -7.578, -4.611], [-0.182, -7.051, -5.900], [-1.398, -5.945, -5.250], [2.243, -6.176, -5.624], [2.874, -3.891, -4.012], [3.115, -5.584, -3.745], [1.981, -5.493, -1.557], [1.631, -3.794, -1.738], [4.107, -6.232, -0.813], [6.363, -5.694, 0.036], [5.861, -1.638, -1.194], [3.587, -2.179, -2.035], [-0.416, -4.033, -5.509], [1.070, -3.153, -5.330], [1.396, -1.663, -3.269], [-2.479, -2.010, -1.837]]}


Entry 1:
Formula: C3H6O2
Source: the OMol25 dataset
Level of theory: ωB97M-V with the def2-TZVPD basis set

Summary:
Frontier orbital gap ... 11.4 eV
Structure (SMILES) ... OC[C@H]1CO1
*/

*What the heck? I'm your wife. No matter what I do, shouldn't you be the one to indulge me?*

Deep down, Mark knew he was in the wrong, but he still felt wronged.

He took a sip of his milk tea and let out a long sigh. *Being someone's wife is so hard,* he thought to himself.

After sighing, Mark pulled out his phone and, still sitting on Alex's lap, began texting Kyle while sipping his milk tea: *Alex is such a jerk! He doesn't appreciate me after he's had his way. He even lectured me. So unfair!*

Meanwhile, Kyle, who was also in a car heading to the resort, received Mark's message and couldn't help but smile. To him, it was clear that Mark was just showing off how much he was loved; he didn't sense any real anger at all.

Kyle texted back: *So, do you hate him?*

Mark quickly typed a reply: *I... I never said I hate him.*

Kyle smiled even more at this and typed out a suggestion: *Men can't resist their wives. If you soften up a little, you'll have him wrapped around your finger.*

Mark raised an eyebrow at that. *Really?* The idea of having Alex at his mercy piqued Mark's interest.

Curious, Mark looked up at Alex, staring at him intently.

"Sweetheart, who are you chatting with when your husband is right here?" Alex playfully grabbed Mark's head, his smile not quite reaching his eyes. He had a feeling it was Kyle on the other end, and he started to feel a bit wary. *Is that kid teaching my wife some weird stuff?* Alex thought, his irritation rising.

Mark didn't say anything, just continued to stare at Alex.

Alex was taken aback by Mark's sudden gaze, unsure of what was going on. He was about to ask when Mark unexpectedly leaned in and kissed him on the lips.

Alex was so stunned by the sudden affection that he froze, his mind unable to process the wave of happiness that washed over him. After all, Mark only initiated kisses when he needed a favor, never otherwise.

*Wait, what's going on? Why isn't he reacting?* Mark thought, scratching his head in confusion as he watched Alex's dazed expression.

But then Alex suddenly pulled Mark into a tight hug, his tone carrying a playful warning, "Sweetheart, are you trying to make sure we never leave this car?"

Mark quickly blurted, "You kiss me like that all the time. What's the big deal?"

Alex sighed, "I can kiss you like that, but you shouldn't kiss me like that, Sweetheart."

It sounded like Alex was scolding him, which only made Mark more annoyed.

"What the heck? Why can't I?" Mark huffed, feeling insulted that his kindness was being rebuked.

He started to squirm in Alex's arms, trying to move to the front passenger seat. "Let me go! I'll sit up front and stay far away from you!"

"You think you can run away after starting something?" Alex tightened his grip, a mischievous smile on his face.

"You were the one who complained, so why can't I leave?" Mark pouted and turned his head away, refusing to look at Alex.

Seeing how cute Mark was even when upset, Alex couldn't help but chuckle.

"Who said I was complaining? It's just that you're so irresistible, and I'm afraid I'll lose control," Alex teased, his words both sweet and sincere.

Hearing this, Mark's expression softened, the anger draining from his face as he looked back at Alex with a proud smile. "Really?"

Alex gave him a playful kiss, then responded earnestly, "Of course it's true. All you have to do is crook your finger, and I'd be at your feet in an instant."

"Hmph, you better be," Mark said, his mood instantly improving.

The driver, however, was having a tough time. *Dear young master, could you please stop teasing your wife in public? I'm getting too old for this.* The driver felt awkward, silently praying for the drive to end soon.

"Are you going to let me go or not?" Mark huffed, giving Alex a light slap.

"Alright, alright. Your husband's letting you go," Alex said, releasing Mark from his grip, though he couldn't resist stealing another kiss, grinning mischievously at him.

Mark frowned but chose not to react angrily this time. *Damn it! He keeps taking advantage of me. I should charge him more; I can't let him off so easily.*

Mark extended his hand toward Alex, looking assertive.

Not knowing what Mark wanted, Alex placed his chin in Mark's palm.

Mark gave him a look of disbelief, clearly unimpressed.

"Not that?" Alex asked, confused.

"Money. I want money. Are you dense?" Mark retorted, not bothering to sugarcoat it.

Alex chuckled as realization dawned. He pulled out his wallet and handed it to Mark.

"Hmph, that's more like it," Mark said, opening the wallet, only to find it filled with cards rather than cash. The sheer number of them made his head spin.

"What? Not a single penny?" Mark complained again, dissatisfied.

Alex laughed, "Sweetheart, it's the 21st century. Who still carries cash?"

"I do!" Mark retorted with a pout.

"Alright, alright. That's my mistake," Alex said, not wanting to argue. He glanced at the wallet in Mark's hands and offered, "You can choose any card you like. I'll even set the password to something easy for you to remember."

"And what if I want all of them? Would you give them to me?" Mark asked, his eyes locking with Alex's.

Mark was only testing Alex. He didn't care for all those cards—carrying them around would be inconvenient—but he was curious to see just how far Alex would go to spoil him.

*With so many cards, that must be his entire net worth,* Mark mused.

Alex gently stroked Mark's hair, smiling warmly. "If you want them all, they're yours," he said sincerely.

*What? He's really giving them to me?* Mark thought, surprised. His cheeks turned pink as he realized that Alex was serious. It was clear to Mark that Alex wanted to build a life with him, to share everything he had.

<<<
1.
{"formula": "C26H28N2S2SiZn", "method": "wB97M-V/def2-TZVPD", "e_above_lowest_kj_mol": 0.0, "homo_ev": -6.773, "orbital_gap_ev": 6.37, "symbols": ["C", "C", "C", "H", "C", "C", "H", "H", "H", "H", "Zn", "C", "H", "H", "H", "Si", "C", "C", "H", "C", "H", "C", "H", "C", "H", "C", "H", "C", "C", "H", "C", "H", "C", "H", "C", "H", "C", "H", "H", "H", "C", "C", "N", "C", "C", "S", "C", "C", "S", "C", "N", "C", "H", "H", "H", "H", "H", "H", "H", "H"], "positions_angstrom": [[0.556, 2.666, 0.678], [-0.583, 2.800, -0.164], [-1.726, 2.419, 0.561], [-0.591, 3.127, -1.202], [-1.308, 1.931, 1.852], [0.134, 2.140, 1.920], [0.768, 1.953, 2.796], [1.571, 2.940, 0.400], [-2.774, 2.461, 0.246], [-1.957, 1.679, 2.700], [-0.635, -0.272, 1.883], [-0.260, -0.989, 0.311], [-0.894, -0.471, -0.449], [0.822, -0.819, 0.134], [-0.522, -2.079, 0.190], [0.198, -0.575, -3.085], [2.040, -0.438, -3.251], [2.787, 0.753, -3.126], [2.285, 1.706, -2.929], [4.197, 0.711, -3.214], [4.783, 1.645, -3.177], [4.847, -0.531, -3.327], [5.939, -0.566, -3.416], [4.121, -1.741, -3.314], [4.633, -2.714, -3.382], [2.723, -1.685, -3.187], [2.162, -2.615, -3.027], [-0.821, 0.914, -3.479], [-0.402, 1.929, -4.371], [0.603, 1.907, -4.816], [-1.298, 2.962, -4.706], [-0.992, 3.737, -5.424], [-2.574, 2.985, -4.122], [-3.267, 3.790, -4.371], [-2.996, 1.990, -3.219], [-3.984, 2.012, -2.757], [-2.122, 0.939, -2.920], [-2.446, 0.136, -2.254], [0.495, -0.362, -1.608], [0.027, -1.349, -4.389], [-0.916, 1.979, 5.091], [-0.327, 0.613, 5.063], [-0.370, -0.321, 4.120], [0.009, -1.608, 4.598], [0.530, -1.537, 5.878], [0.401, 0.049, 6.557], [-0.265, -2.793, 3.806], [0.073, -4.137, 4.025], [-0.608, -5.184, 2.823], [-1.266, -3.746, 2.010], [-1.022, -2.630, 2.641], [-1.953, -3.917, 0.698], [-0.783, 2.353, 6.118], [-0.399, 2.677, 4.414], [-1.998, 1.972, 4.877], [0.964, -2.377, 6.400], [0.757, -4.475, 4.791], [-1.200, -4.062, -0.099], [-2.575, -4.827, 0.724], [-2.595, -3.052, 0.482]]}

2.
>>>

"I don't need them. I was just joking. Here, take it back," Mark said, quickly shoving the wallet back into Alex's hands, his face still flushed. His voice softened as he spoke.

Alex smiled again, clearly aware that Mark had only been testing him. Mark wasn't really interested in the money; he just wanted to see how much Alex cared.

*My wife is so considerate. He may love money, but he didn't want to take everything I have,* Alex thought, feeling even more affectionate. He leaned in to plant a kiss on Mark's lips, then said, "There's a seaside villa at the resort. Once we're done with business, I'll take you to see it. If you like it, we'll buy it."

Hearing this made Mark feel touched. He had thought Alex was only saying such things to appease him, but now it seemed like he was serious.

"And you're not afraid that I'll take everything and run away?" Mark asked, his tone full of pride.

"I've treated you so well. Would you really want to leave me for someone else?" Alex responded, turning the question around.

It worked. Mark immediately became excited, responding passionately, "I would never let someone else have you. You're mine, and so is everything you have. All mine."

He then snatched Alex's wallet back, clutching it possessively as if afraid Alex might take it away. Then, Mark threw his arms around Alex, holding him tightly.

Alex had expected this reaction and was pleased. He hugged Mark back, grinning like the cat that got the cream.

Meanwhile, Rick, who was driving behind them, caught sight of the couple's affection in the neighboring car and nearly lost control of the wheel.

Alex had ruined his plans and then sent Howard off to the resort to deal with the poisoned guests, forcing Rick to follow him there.

"If it weren't for the fact that the driver and your wife are innocent, I'd ram you off the road," Rick fumed, gripping the steering wheel tightly as he glared at Alex.

Noticing Rick's fiery gaze, Alex responded by lowering the car's windows, making sure Rick got a good view of him holding Mark close.

Rick practically choked on the jealousy and rage that welled up inside him.

*Damn it, Alex

, you bastard,* Rick thought, gnashing his teeth in frustration. He was so angry he could barely contain the urge to swerve and crash into Alex, throwing him right out the window.

The more furious Rick became, the better Alex felt.

He lifted Mark's chin, coaxing him sweetly, "Sweetheart, your husband has been so good today. Don't you think he deserves a reward?"

Mark didn't get angry but instead looked up at Alex, puzzled. "But didn't you just say I shouldn't kiss you?"

"That was different from now. Come on, be good, and give your husband a kiss—just one," Alex coaxed.

Mark's cheeks turned slightly pink, and although he agreed, he still put on an act, saying, "Fine, since you're giving me a villa, I'll grant you one kiss."

He leaned in to give Alex a quick peck, intending to pull away, but Alex suddenly deepened the kiss.

Mark was immediately flustered, thinking, *Damn it, this jerk. Shameless!*

He tried to push Alex away, but it was too late. His body had already gone limp, leaving him at Alex's mercy.

Rick, seeing this from his car, couldn't believe his eyes. *Alex, you son of a... This is too much!*

Rick was about to lose it. Alex's move left him seething with jealousy, anger, and more than a little envy.